........
# PBE Nb2GaC, optimized geometry
data_Nb2GaC
_chemical_formula_sum 'Nb4 Ga2 C2'
_cell_length_a 3.1623
_cell_length_b 3.1623
_cell_length_c 13.6201
_cell_angle_alpha 90.00
_cell_angle_beta 90.00
_cell_angle_gamma 120.00
_symmetry_space_group_name_H-M 'P 63/m m c'
_symmetry_Int_Tables_number 194
_symmetry_space_group_name_Hall '-P 6c 2c'
loop_
_atom_site_label
_atom_site_type_symbol
_atom_site_fract_x
_atom_site_fract_y
_atom_site_fract_z
_atom_site_occupancy
Nb1 Nb 0.3333 0.6667 0.0894 1
Ga1 Ga 0.3333 0.6667 0.7500 1
C1 C 0.0000 0.0000 0.0000 1
# **Raw total energy**: -0.6345 Ry per atom
# **DFT formation energy**: -517 meV per atom

----------

Compound: AlCrF5
Source: Materials Project
........

Next, type out everything further above with every line break kept.

# PBE Nb2GaC, optimized geometry
data_Nb2GaC
_chemical_formula_sum 'Nb4 Ga2 C2'
_cell_length_a 3.1623
_cell_length_b 3.1623
_cell_length_c 13.6201
_cell_angle_alpha 90.00
_cell_angle_beta 90.00
_cell_angle_gamma 120.00
_symmetry_space_group_name_H-M 'P 63/m m c'
_symmetry_Int_Tables_number 194
_symmetry_space_group_name_Hall '-P 6c 2c'
loop_
_atom_site_label
_atom_site_type_symbol
_atom_site_fract_x
_atom_site_fract_y
_atom_site_fract_z
_atom_site_occupancy
Nb1 Nb 0.3333 0.6667 0.0894 1
Ga1 Ga 0.3333 0.6667 0.7500 1
C1 C 0.0000 0.0000 0.0000 1
# **Raw total energy**: -0.6345 Ry per atom
# **DFT formation energy**: -517 meV per atom

----------

Compound: AlCrF5
Source: Materials Project